Use as Abuse: A Feasibility Study of Alcohol-related Elder Abuse

11 February 2014

Researchers: Dr. Mary Pat Sullivan, Professor Mary Gilhooly, Professor Christina Victor, Professor Ken Gilhooly (School of Health Sciences and Social Care, Brunel University); Dr. Sarah Wadd, Tilda Goldberg Centre for Social Work and Social Care, University of Bedfordshire; Mr. Nick Ellender, Service Manager, Safeguarding Adults and Quality Assurance, London Borough of Hillingdon

Attached: records of crystals
<<<
! Cu4Ag5, relaxed, DFT PBE-GGA; values from VASP
&SYSTEM
  ibrav = 0, nat = 9, ntyp = 2
/
ATOMIC_SPECIES
Ag 107.87 Ag.upf
Cu 63.55 Cu.upf
ATOMIC_POSITIONS crystal
Ag 0.000 0.000 0.000
Ag 0.564 0.564 0.000
Ag 0.436 0.436 0.000
Ag 0.327 0.327 0.000
Ag 0.673 0.673 0.000
Cu 0.228 0.228 0.000
Cu 0.772 0.772 0.000
Cu 0.118 0.118 0.000
Cu 0.882 0.882 0.000
CELL_PARAMETERS angstrom
-1.419 1.419 17.050
1.419 -1.419 17.050
1.419 1.419 -17.050
! Relative energy among the computed polymorphs, meV per atom: 35
>>>

Key findings

  • Alcohol misusing elder abuse victims tended to be male, slightly younger than other victims, and abused by someone outside the family system. Their vulnerability for abuse seemed to be exacerbated by issues such as declining health, social isolation and possibly longstanding problems with alcohol.
  • Alcohol misusing elder abuse victims were twice as likely to be financially abused than non-alcohol misusing victims.
  • Alcohol misusing perpetrators tended to be male and a family member.
  • Physical abuse was more commonly identified by practitioners in cases with alcohol misusing perpetrators.
  • Specialty alcohol practitioners described their role as minimising the vulnerability to misuse alcohol and thereby reducing the risks for abuse. Safeguarding practitioners reported their role as a regulated one and their priority was to respond to referrals of older alcohol misusing victims who lacked mental capacity.
  • Practitioners were most challenged by cases where alcohol misuse had led to self-neglect or where the perpetrator was an alcohol misusing family member.
  • Evidence-informed community-based interventions were not identified.


In 2000, the Department of Health’s No Secrets outlined a national framework for the development of local multi-agency codes of practice for the protection of vulnerable adults, representing one of the first policies that formalised the link between vulnerability, at any age, and abuse. As such, local council social services departments were required to act as lead agencies in developing strategic partnerships to implement the guidance on adult safeguarding.

Elder abuse falls within this guidance, and in 2012-13, 61% of all referrals to safeguarding in England were for people aged 65 years and older (Health and Social Care Information Centre (HSCIC), 2013). Alcohol misuse as a risk factor for abuse in older age is consistently identified in the literature, and yet little is understood about the nature of this relationship, its impact on older people and families, and what interventions are most effective. Its relevance to older people and abuse is significant in light of some of the adult drinking patterns in England. This study represents a first of its kind in England to begin to expand the elder abuse lens and focus attention alcohol misuse as a risk factor.

The purpose of this feasibility study was to collect substantive pilot data to scope the extent of alcohol-related elder abuse and neglect, and evaluate data sources and research methods to consider the development of a larger study on the role of alcohol misuse in cases of elder abuse and neglect. The research questions were as follows:

What is the relationship between alcohol misuse and elder abuse and neglect?

  • To what extent does alcohol misuse feature in elder abuse and neglect cases referred to local authority Safeguarding Adults Teams, and what are the key characteristics of such cases?
  • How do local authority Safeguarding Adults Teams and specialised alcohol treatment programmes perceive the role of alcohol misuse in relation to the problem of elder abuse and how are they responding to the problem?
  • What other professionals are mobilised by Safeguarding Adults Teams and specialised alcohol treatment programmes when there is alcohol-related elder abuse and neglect, and how do they work together to address the issue (s)?

In addition to conducting a review of the literature, including existing secondary data, new data was obtained from the following methods:

  • Using data from the case reporting requirements from one local authority Adult Safeguarding Team (2010/11 & 2011/12), descriptive detailed analysis was undertaken to identify the occurrence of alcohol-related elder abuse and neglect and case characteristics (N = 1,197).
  • A purposive sample of practitioners was recruited from a safeguarding team and specialty alcohol programmes for older people for in-depth interviews using the critical incident technique (N = 12).
  • Ethics approval was obtained from the School of Health Sciences and Social Care Research Ethics Committee, Brunel University.


Characteristics of alcohol-related elder abuse

Inserted here: calculated crystals:
~~~
Compound: AgSb
Source: the Alexandria database
Functional: PBE
Structure: relaxed

Theoretical density, g/cm³: 8.2
Energy, eV/cell: -6.69
D(E_F), states/eV per cell: 0.9
ΔE to the lowest computed polymorph, kJ per mole of atoms: 5.9
Total magnetization, μB/atom: 0.000

Unit cell a=3.4371 b=3.4371 c=4.6255 alpha=108.19 beta=108.19 gamma=66.87
Fractional coordinates of all 2 atoms:
Ag 0.0000 0.0000 0.0000
Sb 0.5000 0.5000 0.5000
~~~
The piece goes on:

The findings from this study provide further support for a relationship between alcohol misuse and elder abuse. The complex associations remain only partially understood, however, and further investigation warranted. Cases of elder abuse with alcohol involvement were identified when the victim was misusing alcohol, the alleged perpetrator and both victim and perpetrator. The nature of the abuse varied and different types of abuse were sometime co-present.

In cases where the victim was abusing alcohol, s/he was twice as likely to be financially abused as other victims. With supporting evidence from interviews with practitioners, it appeared that alcohol was a longstanding problem. The alcohol misuse appeared to contribute to increasing the person’s vulnerability for abuse from others, self-neglect or a complex combination of these. This vulnerability also seemed to be exacerbated by declining health or other psychosocial problems (e.g., loss, depression). The victim also tended to be male and slightly younger than other abused older people. The perpetrator, in these instances, was more likely to be from outside the family system.

In instances where only the perpetrator misused alcohol, s/he was more likely to be a family member. Physical abuse was also noted here. These cases were also complex ones given situation was likely to be compounded by difficult family dynamics. Unfortunately, less is known about perpetrators who misuse alcohol due to the nature of recording in case files and the absence of interventions with perpetrators. Understandings within the domestic violence literature were helpful here, but limited given its lack of attention of older victims.

Self-neglect and overlapping forms of abuse appeared most relevant in instances where both the victim and perpetrator(s) were misusing alcohol. The perpetrator was a friend or neighbour, the victim had a longstanding alcohol problem and had become socially distant from family. The older person seemed to have become vulnerable to other misusers over time – victims being reliant on the perpetrators to purchase alcohol, their home being used a drinking refuge and “people hanging around”, or perpetrators taking money and other personal items from the older person. Self-neglect, not typically within the mandate of safeguarding in England, was more typically managed by others and seemed to require longer term intervention to manage multiple vulnerabilities and/or risks.

Community-based interventions

The findings support the need for continued training in both abuse and misuse. Safeguarding practitioners did not appear to recognise alcohol misuse as a risk factor for elder abuse. Without exception they stated they were not trained to be aware or sensitive to this factor when conducting an investigation of alleged abuse. Where identified, their role was limited due to statutory regulation. They clearly stated their role was to ‘investigate’ alleged abuse and intervene, where necessary, to lessen further risk. Their role was to protect those older people who lacked mental capacity.
Specialty alcohol practitioners, not available in many parts of the country, recognised alcohol misuse as increasing the older person’s vulnerability to a host of areas including elder abuse. Understanding that safeguarding services were not available to people with capacity, these practitioners typically had longer-term engagement with older people to first lessen vulnerability to drink and then to address other forms of vulnerability. They collaborated with safeguarding practitioners less frequently than expected.

Collaborative working in the instance of alcohol-related elder abuse was not viewed positively. Safeguarding practitioners were limited by their regulated role and tended to close cases promptly, thereby limiting longer-term engagement and mobilising community intervention. Specialty alcohol practitioners expressed frustration that the majority of professionals had negative views or misunderstood older people with alcohol-related problems.

Next to the piece, the page also holds data records
- - -
! BePAu (PBE-GGA, optimized geometry); values from VASP
! - SG = P1 (1)
! - volume (Å³/cell) = 105.1
! - E_form (eV/atom) = -0.08
&SYSTEM
  ibrav = 0, nat = 6, ntyp = 3
/
ATOMIC_SPECIES
Be 9.01 Be.upf
P 30.97 P.upf
Au 196.97 Au.upf
CELL_PARAMETERS angstrom
3.733 0.000 0.000
0.357 4.524 0.000
0.075 1.742 6.221
ATOMIC_POSITIONS crystal
Be 0.000 0.000 0.000
Be 0.482 0.024 0.493
P 0.507 0.955 0.853
P 0.962 0.091 0.307
Au 0.158 0.556 0.360
Au 0.597 0.492 0.743

=====

! Ac7Mg2Co2 (PBE-GGA, optimized geometry); values from VASP
! - SG = Imm2 (44)
! - volume (Å³/cell) = 382.9
! - E_form (eV/atom) = 0.04
&SYSTEM
  ibrav = 0, nat = 11, ntyp = 3
/
ATOMIC_SPECIES
Ac 227.00 Ac.upf
Mg 24.30 Mg.upf
Co 58.93 Co.upf
CELL_PARAMETERS angstrom
-1.971 8.424 5.765
1.971 -8.424 5.765
1.971 8.424 -5.765
ATOMIC_POSITIONS crystal
Ac 0.000 0.000 0.000
Ac 0.063 0.705 0.358
Ac 0.334 0.515 0.819
Ac 0.346 0.705 0.642
Ac 0.661 0.316 0.345
Ac 0.697 0.515 0.181
Ac 0.971 0.316 0.655
Mg 0.464 0.964 0.500
Mg 0.682 0.682 0.000
Co 0.202 0.020 0.182
Co 0.837 0.020 0.818

=====

! Pr2Sm3Al (PBE-GGA, optimized geometry); values from VASP
! - SG = Cmmm (65)
! - volume (Å³/cell) = 372.6
! - E_form (eV/atom) = -0.07
&SYSTEM
  ibrav = 0, nat = 12, ntyp = 3
/
ATOMIC_SPECIES
Pr 140.91 Pr.upf
Sm 150.36 Sm.upf
Al 26.98 Al.upf
CELL_PARAMETERS angstrom
4.906 0.000 0.000
0.000 15.411 0.000
0.000 0.000 4.929
ATOMIC_POSITIONS crystal
Pr 0.000 0.160 0.000
Pr 0.000 0.840 0.000
Pr 0.500 0.340 0.000
Pr 0.500 0.660 0.000
Sm 0.000 0.000 0.500
Sm 0.000 0.341 0.500
Sm 0.000 0.659 0.500
Sm 0.500 0.159 0.500
Sm 0.500 0.500 0.500
Sm 0.500 0.841 0.500
Al 0.000 0.500 0.000
Al 0.500 0.000 0.000

=====

! CaBe3Au (PBE-GGA, optimized geometry); values from VASP
! - excess energy over the best structure of this formula in the dataset (meV/atom) = 1916
! - SG = Pm-3m (221)
! - volume (Å³/cell) = 136.1
! - E_form (eV/atom) = 2.07
&SYSTEM
  ibrav = 0, nat = 5, ntyp = 3
/
ATOMIC_SPECIES
Ca 40.08 Ca.upf
Be 9.01 Be.upf
Au 196.97 Au.upf
CELL_PARAMETERS angstrom
5.144 0.000 0.000
0.000 5.144 0.000
0.000 0.000 5.144
ATOMIC_POSITIONS crystal
Ca 0.000 0.000 0.000
Be 0.000 0.000 0.500
Be 0.000 0.500 0.000
Be 0.500 0.000 0.000
Au 0.500 0.500 0.500

=====

! LiSmHoRu (PBE-GGA, optimized geometry); values from VASP
! - SG = F-43m (216)
! - volume (Å³/cell) = 342.7
! - E_form (eV/atom) = -0.24
&SYSTEM
  ibrav = 0, nat = 16, ntyp = 4
/
ATOMIC_SPECIES
Li 6.94 Li.upf
Sm 150.36 Sm.upf
Ho 164.93 Ho.upf
Ru 101.07 Ru.upf
CELL_PARAMETERS angstrom
6.998 0.000 0.000
0.000 6.998 0.000
0.000 0.000 6.998
ATOMIC_POSITIONS crystal
Li 0.000 0.000 0.000
Li 0.000 0.500 0.500
Li 0.500 0.000 0.500
Li 0.500 0.500 0.000
Sm 0.250 0.250 0.750
Sm 0.250 0.750 0.250
Sm 0.750 0.250 0.250
Sm 0.750 0.750 0.750
Ho 0.250 0.250 0.250
Ho 0.250 0.750 0.750
Ho 0.750 0.250 0.750
Ho 0.750 0.750 0.250
Ru 0.000 0.000 0.500
Ru 0.000 0.500 0.000
Ru 0.500 0.000 0.000
Ru 0.500 0.500 0.500

=====

! Ge2AsRh8 (PBE-GGA, optimized geometry); values from VASP
! - SG = Immm (71)
- - -
Back to the piece


A more comprehensive approach to vulnerable older people is required to more effectively address alcohol-related elder abuse. This includes, but not necessarily limited to:

  • The development of community-wide preventative strategies addressing both misuse and abuse in the older population.
  • The development of evidence-informed intervention strategies for alcohol-related elder abuse, including longer term professional engagement where necessary to provide ongoing support, advice and monitoring recognising that older people’s circumstances change over time. These strategies would reinforce that elder abuse is a responsibility for all services and the need to target resources for the provision of specialised alcohol programmes for older drinkers.
  • The development of person-centered interventions that are tailored to the nature of the abuse, associated risk factors and the older person’s circumstances. This involves the recognition that older people with capacity sometimes lack the ability to make decisions in absence of sustained support.
  • The provision of education and training for a wide range of health and social care practitioners to identify and intervene in cases of misuse and abuse.


This was a feasibility study exploring alcohol-related elder abuse with the view the findings would inform further investigation. Our findings continue to support alcohol misuse, whether victim or perpetrator, as a risk factor for abuse. Specific characteristics of alcohol-misusing victims and alcohol-misusing perpetrators identified in this study add to a growing body of literature on elder abuse and older drinkers, and enhance our understanding of the complexities of community-based care for an ageing population. We conclude that this study offers an opportunity to expand our empirical understandings of alcohol-related elder abuse through further mixed methods exploration in some of the following areas:

  • Further definition and characterisation of alcohol misuse as a risk factor for elder abuse (e.g., constructing explanations for who is misusing, nature of the misuse and abuse, relevance in family care system, self-neglect, relationship with other risk factors);
  • Exploration of practitioner assessment tools in relation to alcohol misuse and elder abuse; and
  • Developing and testing interdisciplinary social interventions, including education and training for practitioners and older people.

Further Information

For further information contact Dr. Mary Pat Sullivan,


Health and Social Care Information Centre (HSCIC) (2013) Abuse of vulnerable adults in England – 2012-13, provisional report, experimental statistics. Leeds: HSCIC.